# Work order
Echo the data below from the first line to the one with "8.214" unchanged.
# Input
'''
# 1
Pm3Pr2Ho3 PBE relaxed; total DFT energy (no corrections) = -4.674 eV per atom; SG = Immm; ΔE to the lowest computed polymorph = 0.0 meV/atom; energy of formation from the pure elements = 19 meV per atom
1.0
5.117 0.000 0.000
0.000 5.127 0.000
0.000 0.000 20.427
Pm Pr Ho
6 4 6
direct
0.000 0.000 0.000
0.000 0.500 0.123
0.000 0.500 0.877
0.500 0.000 0.377
0.500 0.000 0.623
0.500 0.500 0.500
0.000 0.000 0.250
0.000 0.000 0.750
0.500 0.500 0.250
0.500 0.500 0.750
0.000 0.000 0.500
0.000 0.500 0.377
0.000 0.500 0.623
0.500 0.000 0.123
0.500 0.000 0.877
0.500 0.500 0.000

***

# 2
Pm6PrHo2 PBE relaxed; total DFT energy (no corrections) = -4.699 eV per atom; SG = P-1; ΔE to the lowest computed polymorph = 0.0 meV/atom; energy of formation from the pure elements = 16 meV per atom
1.0
3.636 0.000 0.000
-0.013 8.889 0.000
-1.817 -0.059 9.426
Pm Pr Ho
6 1 2
direct
0.110 0.164 0.220
0.221 0.835 0.442
0.333 0.501 0.666
0.667 0.499 0.334
0.779 0.165 0.558
0.890 0.836 0.780
0.000 0.500 0.000
0.445 0.165 0.889
0.555 0.835 0.111

***

# 3
Pm2PrHo2 PBE relaxed; total DFT energy (no corrections) = -4.639 eV per atom; SG = Immm; ΔE to the lowest computed polymorph = 0.0 meV/atom; energy of formation from the pure elements = 48 meV per atom
1.0
3.556 0.000 0.000
0.000 5.715 0.000
0.000 0.000 16.502
Pm Pr Ho
4 2 4
direct
0.000 0.000 0.213
0.000 0.000 0.787
0.500 0.500 0.287
0.500 0.500 0.713
0.000 0.500 0.500
0.500 0.000 0.000
0.000 0.500 0.099
0.000 0.500 0.901
0.500 0.000 0.401
0.500 0.000 0.599

***

# 4
Pm12PrHo7 PBE relaxed; total DFT energy (no corrections) = -4.020 eV per atom; SG = Im-3; ΔE to the lowest computed polymorph = 571.2 meV/atom; energy of formation from the pure elements = 672 meV per atom
1.0
-5.765 5.765 5.765
5.765 -5.765 5.765
5.765 5.765 -5.765
Pm Pr Ho
12 1 7
direct
0.002 0.746 0.255
0.254 0.255 0.509
0.254 0.745 0.998
0.255 0.002 0.746
0.255 0.509 0.254
0.491 0.746 0.745
0.509 0.254 0.255
0.745 0.491 0.746
0.745 0.998 0.254
0.746 0.255 0.002
0.746 0.745 0.491
0.998 0.254 0.745
0.000 0.000 0.000
0.000 0.000 0.500
0.000 0.500 0.000
0.000 0.500 0.500
0.500 0.000 0.000
0.500 0.000 0.500
0.500 0.500 0.000
0.500 0.500 0.500

----------

The following is a DFT calculation (PBE) of a geometry-optimized ScGe2Os structure.

Summary:
uncorrected energy: -7.227 eV per atom
crystal system: orthorhombic
magnetic moment: 0.00 μB per formula unit
theoretical density: 9.50 g/cm³

a = 9.351 Å, b = 10.392 Å, c = 8.214 Å
α = 90.00°, β = 90.00°, γ = 90.00°
Space group Pbam (No. 55)
Symmetry-distinct sites (fractional):
Sc 0.164 0.178 0.000 x4
Sc 0.177 0.450 0.244 x8
Ge 0.035 0.616 0.000 x4
Ge 0.040 0.615 0.500 x4
Ge 0.134 0.904 0.500 x4
Ge 0.136 0.899 0.000 x4
Ge 0.161 0.181 0.346 x8
Os 0.000 0.000 0.247 x4
Os 0.089 0.737 0.249 x8

The following is a DFT calculation (PBE) of a geometry-optimized ZrSc2Ge3Os3 structure.

Summary:
uncorrected energy: -8.265 eV per atom
crystal system: orthorhombic
magnetic moment: 0.00 μB per formula unit
theoretical density: 10.84 g/cm³

a = 3.592 Å, b = 11.963 Å, c = 6.916 Å
α = 90.00°, β = 90.00°, γ = 90.00°
Space group Amm2 (No. 38)
Symmetry-distinct sites (fractional):
Zr 0.000 0.000 0.000 x2
Sc 0.000 0.203 0.612 x4
Ge 0.000 0.000 0.411 x2
Ge 0.500 0.170 0.906 x4
Os 0.500 0.000 0.661 x2
Os 0.500 0.124 0.280 x4

The following is a DFT calculation (PBE) of a geometry-optimized SiGeOs structure.

Summary:
uncorrected energy: -6.635 eV per atom
crystal system: cubic
magnetic moment: 0.00 μB per formula unit
theoretical density: 10.21 g/cm³

a = 5.741 Å, b = 5.741 Å, c = 5.741 Å
α = 90.00°, β = 90.00°, γ = 90.00°
Space group F-43m (No. 216)
Symmetry-distinct sites (fractional):
Si 0.000 0.000 0.000 x4
Ge 0.250 0.250 0.750 x4
Os 0.250 0.250 0.250 x4

The following is a DFT calculation (PBE) of a geometry-optimized SiGeOs structure.

Summary:
uncorrected energy: -7.021 eV per atom
crystal system: cubic
magnetic moment: 0.00 μB per formula unit
theoretical density: 9.69 g/cm³
'''
# Completed
# 1
Pm3Pr2Ho3 PBE relaxed; total DFT energy (no corrections) = -4.674 eV per atom; SG = Immm; ΔE to the lowest computed polymorph = 0.0 meV/atom; energy of formation from the pure elements = 19 meV per atom
1.0
5.117 0.000 0.000
0.000 5.127 0.000
0.000 0.000 20.427
Pm Pr Ho
6 4 6
direct
0.000 0.000 0.000
0.000 0.500 0.123
0.000 0.500 0.877
0.500 0.000 0.377
0.500 0.000 0.623
0.500 0.500 0.500
0.000 0.000 0.250
0.000 0.000 0.750
0.500 0.500 0.250
0.500 0.500 0.750
0.000 0.000 0.500
0.000 0.500 0.377
0.000 0.500 0.623
0.500 0.000 0.123
0.500 0.000 0.877
0.500 0.500 0.000

***

# 2
Pm6PrHo2 PBE relaxed; total DFT energy (no corrections) = -4.699 eV per atom; SG = P-1; ΔE to the lowest computed polymorph = 0.0 meV/atom; energy of formation from the pure elements = 16 meV per atom
1.0
3.636 0.000 0.000
-0.013 8.889 0.000
-1.817 -0.059 9.426
Pm Pr Ho
6 1 2
direct
0.110 0.164 0.220
0.221 0.835 0.442
0.333 0.501 0.666
0.667 0.499 0.334
0.779 0.165 0.558
0.890 0.836 0.780
0.000 0.500 0.000
0.445 0.165 0.889
0.555 0.835 0.111

***

# 3
Pm2PrHo2 PBE relaxed; total DFT energy (no corrections) = -4.639 eV per atom; SG = Immm; ΔE to the lowest computed polymorph = 0.0 meV/atom; energy of formation from the pure elements = 48 meV per atom
1.0
3.556 0.000 0.000
0.000 5.715 0.000
0.000 0.000 16.502
Pm Pr Ho
4 2 4
direct
0.000 0.000 0.213
0.000 0.000 0.787
0.500 0.500 0.287
0.500 0.500 0.713
0.000 0.500 0.500
0.500 0.000 0.000
0.000 0.500 0.099
0.000 0.500 0.901
0.500 0.000 0.401
0.500 0.000 0.599

***

# 4
Pm12PrHo7 PBE relaxed; total DFT energy (no corrections) = -4.020 eV per atom; SG = Im-3; ΔE to the lowest computed polymorph = 571.2 meV/atom; energy of formation from the pure elements = 672 meV per atom
1.0
-5.765 5.765 5.765
5.765 -5.765 5.765
5.765 5.765 -5.765
Pm Pr Ho
12 1 7
direct
0.002 0.746 0.255
0.254 0.255 0.509
0.254 0.745 0.998
0.255 0.002 0.746
0.255 0.509 0.254
0.491 0.746 0.745
0.509 0.254 0.255
0.745 0.491 0.746
0.745 0.998 0.254
0.746 0.255 0.002
0.746 0.745 0.491
0.998 0.254 0.745
0.000 0.000 0.000
0.000 0.000 0.500
0.000 0.500 0.000
0.000 0.500 0.500
0.500 0.000 0.000
0.500 0.000 0.500
0.500 0.500 0.000
0.500 0.500 0.500

----------

The following is a DFT calculation (PBE) of a geometry-optimized ScGe2Os structure.

Summary:
uncorrected energy: -7.227 eV per atom
crystal system: orthorhombic
magnetic moment: 0.00 μB per formula unit
theoretical density: 9.50 g/cm³

a = 9.351 Å, b = 10.392 Å, c = 8.214 Å